'''
1.
A relaxed ZnInNi2 crystal, computed with PBE-GGA.

Calculated values
Formation energy = 260 meV/atom
Raw total energy = -29.074 eV for the cell shown
SG = No. 122

Cell: 3.8723 3.8723 8.9962 Å, 77.57 77.57 90.00°
Atoms (fractional coordinates):
Ni 0.1743 0.6250 0.2500
Zn 0.2500 0.7500 0.5000
Ni 0.3750 0.4243 0.7500
Ni 0.8750 0.8257 0.7500
Zn 0.5000 0.5000 0.0000
In 0.0000 0.0000 0.0000
In 0.7500 0.2500 0.5000
Ni 0.5757 0.1250 0.2500

***

2.
A relaxed NaBeS3 crystal, computed with PBE-GGA.

Calculated values
Raw total energy = -10.856 eV for the cell shown
Formation energy from raw total energies = 1.3143 eV per atom
SG = No. 221
Energy relative to the lowest polymorph listed for this composition = 1392 meV per atom

Cell: 4.8896 4.8896 4.8896 Å, 90.00 90.00 90.00°
Atoms (fractional coordinates):
S 0.0000 0.0000 0.5000
Na 0.0000 0.0000 0.0000
Be 0.5000 0.5000 0.5000
S 0.0000 0.5000 0.0000
S 0.5000 0.0000 0.0000

***

no.,total magnetic moment (μB/atom)
1,0.00
2,0.57

~~~~~

Record 1
## SrYGePd (PBE)

Data for SrYGePd after structural relaxation.

abc: 5.1644 5.1644 5.1644
angles: 60.00 60.00 60.00
Positions (direct):
Y 0.0000 0.0000 0.0000
Pd 0.7500 0.7500 0.7500
Sr 0.5000 0.5000 0.5000
Ge 0.2500 0.2500 0.2500

DOS(E_F) ... 0.707 states/eV per atom
Crystal system ... cubic
Electronic total energy ... -5.0944 eV/atom
Total moment ... 0.00 Bohr magnetons per cell
DFT formation energy ... -234 kJ/mol of formula units



Record 2
## Sr2YGePd (PBE)

Data for Sr2YGePd after structural relaxation.

abc: 6.3940 4.8922 6.3940
angles: 90.00 90.00 90.00
Positions (direct):
Pd 0.0000 0.5000 0.0000
Ge 0.5000 0.5000 0.5000
Sr 0.5000 0.0000 0.0000
Sr 0.0000 0.0000 0.5000
Y 0.0000 0.0000 0.0000

DOS(E_F) ... 0.894 states/eV per atom
Crystal system ... tetragonal
Electronic total energy ... -3.2713 eV/atom
Total moment ... 0.76 Bohr magnetons per cell
DFT formation energy ... 317 kJ/mol of formula units



Record 3
## Sr2Zn3GePd4 (PBE)

Data for Sr2Zn3GePd4 after structural relaxation.

abc: 4.5167 4.5167 9.9900
angles: 90.00 90.00 90.00
Positions (direct):
Zn 0.0000 0.5000 0.1259
Zn 0.0000 0.0000 0.5000
Zn 0.5000 0.0000 0.8741
Pd 0.0000 0.5000 0.3832
Pd 0.5000 0.0000 0.6168
Pd 0.5000 0.5000 0.0000
Pd 0.0000 0.0000 0.0000
Sr 0.5000 0.0000 0.2438
Sr 0.0000 0.5000 0.7562
Ge 0.5000 0.5000 0.5000

DOS(E_F) ... 0.569 states/eV per atom
Crystal system ... tetragonal
Electronic total energy ... -3.8376 eV/atom
Total moment ... 0.00 Bohr magnetons per cell
DFT formation energy ... -560 kJ/mol of formula units



Record 4
## SrZnGePd3 (PBE)

Data for SrZnGePd3 after structural relaxation.

abc: 5.8604 5.8259 8.3752
angles: 110.35 90.00 90.00
Positions (direct):
Pd 0.5000 0.2566 0.0000
Pd 0.2500 0.2394 0.4789
Pd 0.5000 0.7434 0.0000
Pd 0.0000 0.7434 0.0000
Pd 0.7500 0.7606 0.5211
Pd 0.0000 0.2566 0.0000
Sr 0.7500 0.2956 0.5912
Sr 0.2500 0.7044 0.4088
Zn 0.2500 0.3981 0.7963
Zn 0.7500 0.6019 0.2037
Ge 0.7500 0.9154 0.8308
Ge 0.2500 0.0846 0.1692

DOS(E_F) ... 0.278 states/eV per atom
Crystal system ... orthorhombic
Electronic total energy ... -4.3123 eV/atom
Total moment ... 0.00 Bohr magnetons per cell
DFT formation energy ... -263 kJ/mol of formula units



Record 5
## Sr2ZnGe3Pd4 (PBE)

Data for Sr2ZnGe3Pd4 after structural relaxation.

abc: 4.4906 4.4906 10.0178
angles: 90.00 90.00 90.00
Positions (direct):
Ge 0.0000 0.0000 0.5000
Ge 0.5000 0.0000 0.8784
Ge 0.0000 0.5000 0.1216
Pd 0.0000 0.0000 0.0000
Pd 0.5000 0.0000 0.6266
Pd 0.5000 0.5000 0.0000
Pd 0.0000 0.5000 0.3734
Sr 0.0000 0.5000 0.7492
Sr 0.5000 0.0000 0.2508
Zn 0.5000 0.5000 0.5000

DOS(E_F) ... 0.462 states/eV per atom
Crystal system ... tetragonal
Electronic total energy ... -4.6119 eV/atom
Total moment ... 0.00 Bohr magnetons per cell
DFT formation energy ... -662 kJ/mol of formula units



Record 6
## Sr2ZnGe4Pd3 (PBE)

Data for Sr2ZnGe4Pd3 after structural relaxation.

abc: 4.3952 4.3952 10.5247
angles: 90.00 90.00 90.00
Positions (direct):
Ge 0.0000 0.0000 0.0000
'''
Next, search the listing further up for the word "Formation" and reproduce each line that has it.
Formation energy = 260 meV/atom
Formation energy from raw total energies = 1.3143 eV per atom